Fiordland, New Zealand by helicopter
Article and photos by Elena del Valle
We spent a few minutes at the hidden valley of Campbell’s Kingdom (click on photo to expand image)
One of the activities I most remember from a trip to New Zealand this year was a 60-minute Doubtful Sound Gold Star Flight. Although it was originally supposed to be the twice as long Dusky & Doubtful Sound flight poor weather caused it to be severely shortened. To say the flight was bumpy is an understatement. Because of the conditions in the sky everything was gray and wet. Despite that the scenery was magnificent in every direction. From my window side seat I saw oversize natural beauty with no sign of human habitation as far as my eyes could reach. It was one of the highlights of my Intrepid tour in the South Island.
The helicopter picked us up at Cabot Lodge, where I was staying
Our pilot Kim Hollows, founder of Fiordland Helicopters
With the arrival of the storm I had become convinced my only chance to see the famed Fiordland National Park would vanish. According to Fiorland.org, the park is over 1.2 million hectares large, and encompasses mountain, lake, fiord and rainforest environments. Due to the remote location and my tight itinerary it wouldn’t have been possible to reschedule the flight. When my guide described the weather the day prior to the flight I crossed my fingers that we might have a chance to see the park. After two or three delays I figured it wouldn’t happen so when the chopper landed on the green lawn of Cabot Lodge, where I was staying, I was elated.
We flew in a late model AS350 B2 Squirrel.
Minutes after Veronika Vermeulen, my guide, and I rushed out to meet Kim Hollows, chief executive officer and founder of Fiordland Helicopters (K.E. Hollows Ltd, 6 Milford Crescent, Te Anau 9600, New Zealand, +64 (0)3 249 7575, www.fiordlandhelicopters.co.nz, info@fiordlandhelicopters.co.nz) we were airborne. Given the turbulence I appreciated that as we departed our pilot said little beyond an initial greeting and boarding instructions. His quiet and energetic demeanor inspired confidence. Kim’s attention was on flying that day. Mine was on the view and taking photos while praying that my stomach would keep it together until we returned.
Fiordland National Park
The highlight of the flight were expansive views of Doubtful Sound, the second largest of the fourteen fiords in the park. Since Doubtful is not as popular as it’s sister fiord Milford Sound, the the flight was meant to make visitors feel “like you are alone in the middle of nowhere.” It did. I’m not sure when we crossed the main divide. I remember the tall unnamed waterfall in the hidden valley of Campbell’s Kingdom because it was the only place we landed. We flew in a late model AS350 B2 Squirrel. The company declined to disclose the hours flown or the year of manufacture “due to privacy.” The aircraft could accommodate up to six passengers with a maximum internal weight of 650 kilos.
[Crystal structures, kept here for reference]
# 1
Material: SiWBr2
Method: DFT, GGA-PBE
State: relaxed

Cell lengths 3.0527, 4.8460, 13.6275 Å; angles 90.00, 90.00, 90.00 degrees
Space group Imm2 (No. 44)
Symmetry-distinct sites (fractional):
Si: 0.0000 0.0000 0.0000 x2
W: 0.0000 0.5000 0.3426 x2
Br: 0.0000 0.0000 0.6924 x2
Br: 0.0000 0.5000 0.8740 x2

E above lowest polymorph = 543 meV/atom
Calculated total energy = -0.34957 Ry/atom

=====

# 2
Material: ErGaSiRh2
Method: DFT, GGA-PBE
State: relaxed

Cell lengths 4.1463, 13.6514, 6.5534 Å; angles 90.00, 90.00, 90.00 degrees
Space group Cmcm (No. 63)
Symmetry-distinct sites (fractional):
Er: 0.0000 0.1311 0.2500 x4
Ga: 0.0000 0.5000 0.0000 x4
Si: 0.0000 0.1988 0.7500 x4
Rh: 0.0000 0.3210 0.0358 x8

Calculated total energy = -0.45857 Ry/atom

=====

# 3
Material: BeCr3Ga
Method: DFT, GGA-PBE
State: relaxed

Cell lengths 3.9862, 3.9862, 3.9862 Å; angles 90.00, 90.00, 90.00 degrees
Space group Pm-3m (No. 221)
Symmetry-distinct sites (fractional):
Be: 0.0000 0.0000 0.0000 x1
Cr: 0.0000 0.0000 0.5000 x3
Ga: 0.5000 0.5000 0.5000 x1

E above lowest polymorph = 0 meV/atom
Energy of formation from the pure elements = 0.709 eV/atom
Calculated total energy = -0.47158 Ry/atom

=====

# 4
Material: LiEuTmGa
Method: DFT, GGA-PBE
State: relaxed

Cell lengths 7.3570, 7.3570, 7.3570 Å; angles 90.00, 90.00, 90.00 degrees
Space group F-43m (No. 216)
Symmetry-distinct sites (fractional):
Li: 0.0000 0.0000 0.0000 x4
Eu: 0.2500 0.2500 0.2500 x4
Tm: 0.2500 0.2500 0.7500 x4
Ga: 0.0000 0.0000 0.5000 x4

Energy of formation from the pure elements = -0.223 eV/atom
Calculated total energy = -0.37810 Ry/atom

=====

# 5
Material: PuNiHg
Method: DFT, GGA-PBE
State: relaxed

Cell lengths 4.7438, 4.7438, 3.1393 Å; angles 90.00, 90.00, 120.00 degrees
Space group P-6m2 (No. 187)
Symmetry-distinct sites (fractional):
Pu: 0.0000 0.0000 0.0000 x1
Ni: 0.3333 0.6667 0.5000 x1
Hg: 0.6667 0.3333 0.5000 x1

Energy of formation from the pure elements = 0.005 eV/atom
Calculated total energy = -0.49976 Ry/atom

=====

# 6
Material: PbSeO4
Method: DFT, GGA-PBE
State: relaxed

Cell lengths 7.0812, 7.5563, 8.8843 Å; angles 90.00, 126.78, 90.00 degrees
Space group P2_1/c (No. 14)
Symmetry-distinct sites (fractional):
Pb: 0.1966 0.1461 0.2863 x4
Se: 0.3112 0.6636 0.1959 x4
O: 0.1337 0.6579 0.6170 x4
O: 0.1832 0.5059 0.2380 x4
O: 0.3469 0.6055 0.0301 x4
O: 0.4106 0.2071 0.1189 x4

E above lowest polymorph = 0 meV/atom
Calculated total energy = -0.39988 Ry/atom
The scenery was awe inspiring.
Kim obtained his commercial pilot’s license in 1980. Although he has flown throughout New Zealand he has spent most of his air time in the lower South Island and Fiordland, according to a staff person at his office who later responded to questions via email. In addition to scenic helicopter flights he has been involved in deer recovery, commercial helicopter operations, filming, photography, and work for the Department of Conservation. He founded K.E. Hollows Ltd, now known as Fiordland Helicopters, in 1986. The spokesperson indicated the company’s safety record was impeccable. Relying on his vast knowledge and passion for the region he made Ata Whenua – Shadowlands, a film that shows daily at the Fiordland Cinema nearby. The owners of Cabot Lodge kindly made it available so the other lodge guests and I could watch it on my return from the flight. The clear weather conditions showcased in the film made me further appreciate the awe inspiring scenery. Should I return to New Zealand I would love to include the Dusky & Doubtful Sound flight in my itinerary. I will recommend it to friends traveling to the South Island.